The ugly side of power was on full display in 2018. In fact, it was a banner year for the misuse and abuse of power.

== The page is interrupted by records of crystals ==
+++
# meta-GGA SCAN SiTcSeCl2, PBEsol geometry
# ΔE_f (raw) ... 1.085 eV per atom
# D(E_F) ... 3.2 states/eV/cell
# DFT total energy ... -15.14 eV/atom
data_SiTcSeCl2
_chemical_formula_sum 'Si1 Tc1 Se1 Cl2'
_cell_length_a 5.009
_cell_length_b 5.009
_cell_length_c 4.677
_cell_angle_alpha 90.00
_cell_angle_beta 90.00
_cell_angle_gamma 90.00
_space_group_name_H-M_alt 'P 4/m m m'
_space_group_IT_number 123
_space_group_name_Hall '-P 4 2'
loop_
_atom_site_label
_atom_site_type_symbol
_atom_site_fract_x
_atom_site_fract_y
_atom_site_fract_z
Si1 Si 0.000 0.000 0.000
Tc1 Tc 0.500 0.500 0.000
Se1 Se 0.500 0.500 0.500
Cl1 Cl 0.000 0.500 0.500

# meta-GGA SCAN BaSiRh2, PBEsol geometry
# ΔE_f (raw) ... -0.632 eV per atom
# D(E_F) ... 3.5 states/eV/cell
# DFT total energy ... -29.91 eV/atom
data_BaSiRh2
_chemical_formula_sum 'Ba2 Si2 Rh4'
_cell_length_a 7.095
_cell_length_b 4.086
_cell_length_c 6.216
_cell_angle_alpha 90.00
_cell_angle_beta 112.38
_cell_angle_gamma 90.00
_space_group_name_H-M_alt 'C 1 2/m 1'
_space_group_IT_number 12
_space_group_name_Hall '-C 2y'
loop_
_atom_site_label
_atom_site_type_symbol
_atom_site_fract_x
_atom_site_fract_y
_atom_site_fract_z
Ba1 Ba 0.000 0.000 0.000
Si1 Si 0.000 0.500 0.500
Rh1 Rh 0.202 0.000 0.606

# meta-GGA SCAN BaCuPt2, PBEsol geometry
# D(E_F) ... 14.7 states/eV/cell
# Formation energy ... 0.191 eV/atom
# DFT total energy ... -48.59 eV/atom
# E above lowest polymorph ... 73.9 kJ per mole of atoms
data_BaCuPt2
_chemical_formula_sum 'Ba4 Cu4 Pt8'
_cell_length_a 6.793
_cell_length_b 6.793
_cell_length_c 6.793
_cell_angle_alpha 90.00
_cell_angle_beta 90.00
_cell_angle_gamma 90.00
_space_group_name_H-M_alt 'F -4 3 m'
_space_group_IT_number 216
_space_group_name_Hall 'F -4 2 3'
loop_
_atom_site_label
_atom_site_type_symbol
_atom_site_fract_x
_atom_site_fract_y
_atom_site_fract_z
Ba1 Ba 0.000 0.000 0.000
Cu1 Cu 0.250 0.250 0.250
Pt1 Pt 0.000 0.000 0.500
Pt2 Pt 0.250 0.250 0.750

# meta-GGA SCAN ScNbSe3, PBEsol geometry
# ΔE_f (raw) ... -0.192 eV per atom
# D(E_F) ... 2.3 states/eV/cell
# DFT total energy ... -21.71 eV/atom
# E above lowest polymorph ... 22.3 kJ per mole of atoms
data_ScNbSe3
_chemical_formula_sum 'Sc1 Nb1 Se3'
_cell_length_a 4.967
_cell_length_b 4.967
_cell_length_c 4.967
_cell_angle_alpha 90.00
_cell_angle_beta 90.00
_cell_angle_gamma 90.00
_space_group_name_H-M_alt 'P m -3 m'
_space_group_IT_number 221
_space_group_name_Hall '-P 4 2 3'
loop_
_atom_site_label
_atom_site_type_symbol
_atom_site_fract_x
_atom_site_fract_y
_atom_site_fract_z
Sc1 Sc 0.000 0.000 0.000
Nb1 Nb 0.500 0.500 0.500
Se1 Se 0.000 0.000 0.500

Number 1: M_tot 1.66 μB/f.u.. Number 2: M_tot 0.00 μB/f.u.. Number 3: M_tot 0.00 μB/f.u.. Number 4: M_tot 2.00 μB/f.u..
+++

We witnessed a parade of powerful men resign or being fired over sexual abuse and misconduct. We saw the popularity of the “strong man autocrat” continue to rise, along with the consolidation of power in one party or one person. We witnessed the murder and imprisonment of journalists and an assault against the media and free speech.

We watched while our beloved social media platforms were used against us to spread disinformation, influence elections, and promote hate speech. We saw once-admired technology companies hide data breaches from the public and share our personal data without our knowledge.

The article is interrupted by data records:
=====
Entry from Alexandria: a geometry-optimized ZnSi2Mo structure (PBE).

Values from the calculation:
formation energy (no corrections): 8 kJ/mol of atoms
symmetry: C2/m (12)
E_tot: -5.65 eV/atom

a b c (Å): 4.645 4.645 4.790
angles (deg): 95.47 95.47 34.57
Element x y z (fractional)
1 Zn 0.000 0.000 0.000
2 Si 0.239 0.239 0.730
3 Si 0.761 0.761 0.270
4 Mo 0.500 0.500 0.500


No. 1
# PmGaSnHg PBE relaxed
# Formation enthalpy at 0 K in meV per atom: -304.1
# D(E_F) in states/eV/cell: 6.84
data_PmGaSnHg
_chemical_formula_sum 'Pm4 Ga4 Sn4 Hg4'
_cell_length_a 7.361
_cell_length_b 7.361
_cell_length_c 7.361
_cell_angle_alpha 90.00
_cell_angle_beta 90.00
_cell_angle_gamma 90.00
_space_group_name_H-M_alt 'F -4 3 m'
_space_group_IT_number 216
_space_group_name_Hall 'F -4 2 3'
loop_
_atom_site_label
_atom_site_fract_x
_atom_site_fract_y
_atom_site_fract_z
_atom_site_occupancy
Pm1 0.000 0.000 0.000 1
Ga1 0.250 0.250 0.250 1
Sn1 0.000 0.000 0.500 1
Hg1 0.250 0.250 0.750 1

No. 2
# Er3Cd5O12 PBE relaxed
# D(E_F) in states/eV/cell: 130.10
# Calculated total energy in eV for the cell shown: -876.0
data_Er3Cd5O12
_chemical_formula_sum 'Er24 Cd40 O96'
_cell_length_a 13.162
_cell_length_b 13.162
_cell_length_c 13.162
_cell_angle_alpha 90.00
_cell_angle_beta 90.00
_cell_angle_gamma 90.00
_space_group_name_H-M_alt 'I a -3 d'
_space_group_IT_number 230
_space_group_name_Hall '-I 4bd 2c 3'
loop_
_atom_site_label
_atom_site_fract_x
_atom_site_fract_y
_atom_site_fract_z
_atom_site_occupancy
Er1 0.000 0.250 0.125 1
Cd1 0.000 0.000 0.000 1
Cd2 0.000 0.250 0.375 1
O1 0.013 0.072 0.656 1
=====

And we witnessed, time and time again, institutions like USA Gymnastics, the Catholic Church, the CBS Corporation Board of Directors circle their wagons, denying, hiding, and destroying evidence to protect themselves and discredit their accusers.

Yes, it was a depressing year for the use of power. But let’s redeem it. Let’s harvest the learning from what we witnessed. What lessons are to be learned from these abuses and excesses of power? Here are my three takeaways from 2018, a year of power misuse.


Be a Better Bystander

Almost every scandal in 2018 had this in common: a profound lack of oversight, or oversight that was
complicit, corrupt, or just plain absent.  When the news broke about sexual harassment, all eyes turned to the (often male) perpetrator. But in every instance, the board of directors, managing partners, or group of executives protected, enabled, and permitted the abuse.

Bad behavior doesn’t happen in a silo. It flourishes when it’s not called out. It is emboldened when people look the other way. And it proliferates when people make excuses or justify it.

Enabling happens for many reasons. Sometimes it is motivated by greed, but it can also be the result of people not knowing how to speak up, feeling awkward raising an uncomfortable topic, or fearing for their own job if they blow the whistle. In group settings, we are stopped from acting by the Bystander Effect: that when others are around we’re less likely to act because we assume that others will. Finally, in most cases, people just don’t feel they have enough power to do anything about the abuse and misuse of power that they see.

The fact is, one person can do a lot by speaking up. Susan Fowler’s now famous blog post, Reflecting On One Very, Very Strange Year At Uber, turned the tide on sexual harassment in Silicon Valley, and Tarana Burke’s hashtag #MeToo created a global movement.

........
(1)
PmCo2Bi: optimized geometry, PBE.

Structure (extended XYZ):
```
4
Lattice="4.5868 0.0000 0.0000 0.0000 4.5868 0.0000 0.0000 0.0000 3.6070" Properties=species:S:1:pos:R:3 pbc="T T T"
Pm 0.0000 0.0000 0.0000
Co 0.0000 2.2934 1.8035
Co 2.2934 0.0000 1.8035
Bi 2.2934 2.2934 0.0000
```

ΔE_f (meV/atom): 117
SG: P4/mmm
Spin magnetization (μB/cell): 1.55
Raw total energy (eV for the cell shown): -22.4

---

(2)
Pm5CoBi2: optimized geometry, PBE.

Structure (extended XYZ):
```
16
Lattice="2.8382 -8.2974 0.0000 2.8382 8.2974 0.0000 0.0000 0.0000 13.5975" Properties=species:S:1:pos:R:3 pbc="T T T"
Pm 2.8382 7.4187 8.3425
Pm 2.8382 7.4187 12.0537
Pm 2.8382 3.7645 8.1844
Pm 2.8382 3.7645 12.2118
Pm 2.8382 3.1282 3.3994
Pm 2.8382 -3.1282 10.1981
Pm 2.8382 -3.7645 1.3857
Pm 2.8382 -3.7645 5.4131
Pm 2.8382 -7.4187 1.5438
Pm 2.8382 -7.4187 5.2550
Co 2.8382 5.5902 10.1981
Co 2.8382 -5.5902 3.3994
Bi 2.8382 5.9137 1.3076
Bi 2.8382 5.9137 5.4912
Bi 2.8382 -5.9137 8.1063
Bi 2.8382 -5.9137 12.2899
```

ΔE_f (meV/atom): -129
SG: Cmcm
Spin magnetization (μB/cell): 0.00
Raw total energy (eV for the cell shown): -79.3

---

(3)
Pm3CoBi: optimized geometry, PBE.

Structure (extended XYZ):
```
5
Lattice="5.2801 0.0000 0.0000 0.0000 5.2801 0.0000 0.0000 0.0000 5.2801" Properties=species:S:1:pos:R:3 pbc="T T T"
Pm 0.0000 0.0000 2.6401
Pm 0.0000 2.6401 0.0000
Pm 2.6401 0.0000 0.0000
Co 0.0000 0.0000 0.0000
Bi 2.6401 2.6401 2.6401
```

ΔE_f (meV/atom): -331
SG: Pm-3m
Spin magnetization (μB/cell): 0.00
Raw total energy (eV for the cell shown): -26.9

---

(4)
Pm3CoBi: optimized geometry, PBE.

Structure (extended XYZ):
```
20
Lattice="9.9512 0.0000 0.0000 0.0000 6.7538 0.0000 -3.7306 0.0000 9.0173" Properties=species:S:1:pos:R:3 pbc="T T T"
Pm -0.6307 0.4321 3.2442
Pm -2.4959 2.9448 7.7528
Pm -0.1629 3.9012 4.7733
Pm 1.7024 6.2295 0.2646
Pm 0.8368 1.2310 7.1399
Pm 2.7020 2.1459 2.6312
Pm 3.5186 4.6079 6.3861
Pm 5.3839 5.5228 1.8775
Pm 4.5182 0.5243 8.7527
Pm 6.3835 2.8526 4.2440
Pm 8.7166 3.8090 1.2645
Pm 6.8513 6.3217 5.7732
Co -1.4286 1.6767 5.5895
Co 0.4367 1.7001 1.0808
Co 5.7840 5.0536 7.9365
Co 7.6493 5.0770 3.4278
Bi 0.6234 4.7588 7.8263
Bi 2.4887 5.3718 3.3177
Bi 3.7320 1.3819 5.6997
Bi 5.5972 1.9949 1.1910
```

ΔE_f (meV/atom): -323
SG: P2_1/c
Spin magnetization (μB/cell): 0.00
Raw total energy (eV for the cell shown): -107.4

---

(5)
Pm8Co2Bi: optimized geometry, PBE.

Structure (extended XYZ):
```
11
Lattice="4.3299 -6.8383 0.0000 4.3299 6.8383 0.0000 -1.2667 0.0000 5.4119" Properties=species:S:1:pos:R:3 pbc="T T T"
Pm -0.1495 0.0000 4.3182
Pm 2.0073 1.7651 2.3544
Pm 4.3299 3.4347 0.0000
Pm 2.0073 -1.7651 2.3544
Pm 5.3859 1.7651 3.0575
Pm 4.3299 -3.4347 0.0000
Pm 5.3859 -1.7651 3.0575
Pm 7.5427 0.0000 1.0937
Co 3.6966 4.0349 2.7060
Co 3.6966 -4.0349 2.7060
Bi 4.3299 0.0000 0.0000
```

ΔE_f (meV/atom): -129
SG: C2/m
Spin magnetization (μB/cell): 0.00
Raw total energy (eV for the cell shown): -57.5

---

(6)
Pm12Co6Bi: optimized geometry, PBE.
........

What’s more, speaking isn’t only whistle-blowing; it can be simply raising a topic. Studies have shown that just talking about sexual harassment, naming it as an important topic, can help reduce the occurrence of sexual harassment. When you speak about something, you signal to others that it’s important.

We may feel helpless to can change a culture, but remember, we are the culture. We support the existing culture by going along with things; we can change the culture whenever we choose to stop being complicit.

So, in 2019, let’s be better bystanders. We aren’t superheroes. We can’t single-handedly stop the misuse of power, but we can speak up. We can reward others who do so by listening, acknowledging their voice, and taking complaints seriously. We can raise issues ourselves and talk about things that trouble us.

If you are just one person, or afraid of retribution, gather allies. And if you have power—by virtue of your role, your popularity, or your thought leadership—use your power to raise the topic and start the conversation. Do something at the level you are at. Action always makes a difference.


Tolerance Has a Tipping Point

Complicity implies that these abuses of power were open secrets. Many in the entertainment and media industries knew about Harvey Weinstein, Les Moonves, Bill O’Reilly, and Roger Ailes. The leadership of USA Gymnastics knew that Larry Nassar, the team doctor, had been sexually assaulting athletes for decades. Wrestlers at Ohio State complained about the sexual abuse of the team doctor, Richard Strauss, as far back as 1978. Reports of sexual abuse by Catholic priests in the United States date back to the 1960s.

What was new in 2018 was not that these behaviors were uncovered. They were known about for a long time. What was new in 2018 is that we reached a tipping point in our tolerance.

What 2018 showed is that bad behavior is tied to social tolerance. Many bad behaviors—harassment bullying, discrimination—are illegal, yet tolerated. A lot of power misuse happens under the pretext that “everyone does it.” “Everyone” rounds up billable hours. “Every” company has its end of year party at a strip club. “Everyone” makes racist jokes. “Everyone” rates the looks of their female co-workers.

Everyone does something until suddenly, they don’t. Suddenly, society reacts. Suddenly, we’ve reached a tipping point and it’s no longer tolerated—like smoking in public places, hitting children in school, or discriminating on the basis of skin color or religion. This is why our first lesson from 2018—speaking up—is so important. It starts to build a slow momentum toward intolerance.

So, in 2019 let’s be emboldened by having witnessed a tipping point in tolerance. Let’s not take refuge under the “everyone does it” banner. Let’s instead work toward the next tipping point. What will it be? Bullying and intimidation? Gun violence? Discrimination?


Transparency is the New Black

Forced arbitration bit the dust in 2018.
Microsoft announced that it will no longer require women to settle sexual harassment cases privately, becoming one of the first major companies to do so. Uber and Lyft followed suit, and in November, after Google employees staged a global walkout to protest the company’s mishandling of sexual misconduct and harassment claims, they too announced the end to forced arbitration, even though it took a New York Times article revealing that Andy Rubin, the designer of Android mobile software, received a $90 million severance package after resigning for sexual misconduct, for Google to act.

In 2018, people demanded more transparency. Not only did forced arbitration take a hit, but so did social media platforms for their handling of user data. As a result of the Cambridge Analytica scandal, and the growing anger at personal data breaches, and other misuses,  Mark Zuckerberg testified before Congress about how Facebook used personal data, who had access to it, and how they allowed their platform to be used to influence the 2016 elections.

Abuse of power flourishes where transparency is absent. Power is not just what someone commits, but what someone omits, what is kept out of view, and made inaccessible. Power grows through access to information, and the denying of access to others. When it’s hard to find your privacy settings, when important information on your credit card bill is buried in the fine print, when you don’t know what HR does with your complaint about sexual harassment, or when the truth is distorted, power is being used against you.

The only way for power to be used well is for it be used by consent of the governed. That is the fundamental difference between autocracy and democracy. But, you can only truly consent when you know the truth and when there is transparency. You cannot consent to what you do not knowIn the words of historian Yuval Noah Harari,

“Truth and power can travel together only so far. Sooner or later they go their separate ways. If you want power, at some point you will have to spread fictions. If you want to know the truth about the world, at some point you will have to renounce power.”

If 2018 taught us anything about power, it’s that truth and transparency matter. So, in the wake of these small victories for transparency in 2018, let’s demand more transparency in 2019.

Let’s make it even easier to know who pays for the political ads, who funds the candidates, and who stands to gain from a bill. Let’s publish the names of the Board of Directors who fail to take action against a CEO who committed sexual abuse. Let’s make every company publish its diversity statistics, and what it’s doing to end harassment and discrimination, Let’s have companies make available their process for handling complaints.

So while 2018 proved a very awful year of power misuse, there were some gains upon which to build. My hope is that we may redeem 2018 by putting its lessons to work for a better 2019.